Snapchat advertising: how to advertise on Snapchat in 2023?

Nathan Elmaleh
Nathan Elmaleh
7 min

Snapchat has become a very popular medium for consumers, especially among young people and GenZ.

Indeed, young people today have abandoned Facebook to spend more time on Snapchat, Instagram or TikTok.

The platform has 347 million active users worldwide.

Snapchat is a social network that is still fairly new and offers new and creative advertising opportunities for advertisers.


Why advertise on Snapchat?

Snapchat is the most suitable social platform for brands that want to reach young and old .

The social network has 18 million active users per month in France, 59% of whom are between 13 and 24 years old.

The average age of users is still 25 years old.

[These data records were left in the article by mistake]
........
*1*
Here is one molecule with the formula C2H3ClSi from the Open Molecules 2025 dataset. Energies are from wB97M-V/def2-TZVPD.

Calculated values
Spin multiplicity: 1
HOMO level (spin up / spin down) (eV): -9.77 / -7.53

Atoms and positions in Å:
C (-0.56, -0.07, -0.02)
C (-1.80, 0.69, -0.05)
Si (1.50, 0.13, -0.06)
Cl (-3.15, -0.42, 0.03)
H (-0.64, -1.11, -0.29)
H (2.12, 0.37, 1.41)
H (2.54, 0.41, -1.01)

=====

*2*
Here is a 2-piece molecular cluster, C2H3ClSi overall from the Open Molecules 2025 dataset. Energies are from wB97M-V/def2-TZVPD.

Calculated values
Spin multiplicity: 1
HOMO level (spin up / spin down) (eV): -9.48 / -7.56

Atoms and positions in Å:
C (1.41, -1.43, -0.03)
C (0.46, -0.69, 0.09)
Si (-0.82, 0.61, 0.34)
Cl (-2.60, 0.04, -0.21)
H (1.89, -2.33, 0.12)
H (0.54, 2.11, -1.62)
H (-0.87, 1.70, 1.32)

=====

Of them, *1* has the lowest stability.

=====

*1*
Here is a 2-piece molecular cluster, C3H10NO overall from the Open Molecules 2025 dataset. Energies are from wB97M-V/def2-TZVPD.

Calculated values
Net charge: -1
Spin multiplicity: 1
HOMO level (eV): -2.82

Atoms and positions in Å:
C (-2.37, 0.16, 0.05)
O (-1.56, 0.63, -0.91)
H (-3.05, -0.68, -0.24)
H (-1.95, -0.36, 0.99)
H (-3.13, 0.83, 0.55)
C (1.37, -0.61, 1.11)
N (0.68, -0.42, -0.15)
C (1.33, 0.37, -1.15)
H (1.89, -1.58, 1.12)
H (2.02, 0.27, 1.23)
H (0.70, -0.60, 1.99)
H (-0.36, -0.04, -0.17)
H (0.69, 0.54, -2.01)
H (2.32, 0.06, -1.52)
H (1.42, 1.46, -0.88)

=====

*2*
Here is a 2-piece molecular cluster, C3H10NO overall from the Open Molecules 2025 dataset. Energies are from wB97M-V/def2-TZVPD.

Calculated values
Net charge: -1
Spin multiplicity: 1
HOMO level (eV): -2.52

Atoms and positions in Å:
N (-1.84, -2.43, -0.46)
C (-1.86, -0.93, -0.53)
O (-0.67, -0.38, -0.24)
H (-1.54, -2.63, 0.48)
H (-1.09, -2.71, -1.08)
H (-2.21, -0.72, -1.57)
H (-2.67, -0.62, 0.17)
C (1.38, 1.06, 1.13)
C (1.59, 1.56, -0.30)
H (1.75, 0.04, 1.21)
H (0.31, 1.02, 1.32)
H (1.92, 1.69, 1.85)
H (1.02, 0.92, -0.97)
H (1.26, 2.59, -0.41)
H (2.65, 1.53, -0.58)

=====

*3*
Here is a 2-piece molecular cluster, C3H10NO overall from the Open Molecules 2025 dataset. Energies are from wB97M-V/def2-TZVPD.

Calculated values
Net charge: -1
Spin multiplicity: 1
HOMO level (eV): -2.28

Atoms and positions in Å:
C (1.34, -1.70, -1.94)
O (1.01, -1.18, -0.74)
H (1.88, -0.99, -2.61)
H (2.07, -2.57, -1.88)
H (0.50, -2.15, -2.53)
C (-0.24, 0.80, 2.08)
N (-0.13, 1.29, 0.73)
C (-1.33, 0.99, -0.07)
H (-0.73, 1.53, 2.74)
H (-0.78, -0.15, 2.20)
H (0.74, 0.63, 2.53)
H (0.58, 0.71, 0.29)
H (-2.22, 1.06, 0.57)
H (-1.27, -0.01, -0.50)
H (-1.41, 1.74, -0.86)

=====

Of them, *1* has the lowest stability.

=====

*1*
Here is one molecule with the formula C5H5ClOS from the Open Molecules 2025 dataset. Energies are from wB97M-V/def2-TZVPD.

Calculated values
Spin multiplicity: 1
HOMO level (eV): -9.21

Atoms and positions in Å:
C (1.17, -0.16, -0.24)
C (0.21, 0.72, -0.01)
C (0.10, 2.16, 0.06)
C (0.79, -1.58, -0.25)
........

On the audience side, France would be the 3rd audience in the world behind India and the USA.

Note that 6 million French users who use Snapchat are not present on Instagram.

And 10 million people in France go to Snap every day without going to TikTok.

An audience exclusive to the platform which must be exploited by advertisers.

User engagement is excellent, with Snapchatters opening the app an average of 30 times per day and spending at least 30 minutes per day.

Snapchat therefore represents real potential for advertisers and brands wishing to integrate Snapchat Ads into their marketing strategy.

4 in 10 Snapchatters say they discovered a brand through influencers and creators on Snapchat.

Snapchat Ads is still little used by marketers, only 5% of them use it in B2C and 3% for B2B.

They prefer to prioritize Instagram Ads , Facebook Ads or TikTok Ads .

This allows for much lower CPMs.

Snapchat Ads therefore opens up many opportunities for advertisers and a certain competitive advantage.


What are the ad formats on Snapchat ads ?

Snapchat Ads is the advertising network of Snapchat.

It offers many formats for advertisers and brands.

Each type of advertisement has its usefulness and purpose.

It is therefore up to you to choose the advertising format that best suits your communication and your objectives.


The Snap Ad format

Snap Ads are advertising videos or images that appear between 2 stories when the user swipes.

Snap Ads include buttons at the bottom, a swipe up then takes you to the brand’s landing page.

Placement: Ad Between Stories

Format: Videos or images 9:16

Resolution: 1080px x 1920px

Duration: 3 to 180 seconds

Redirections: Website, application, long format video or Lens


Story Ad format

Story Ads

Story Ads are advertisements displayed at the thumbnail level of the section discover .

Each thumbnail can contain up to 20 ads (images or videos)

Like Snap Ads, Story Ads have buttons.

Placement: Discover tab

Format: Videos or images 9:16

Resolution: 1080px x 1920px

Duration: 3 to 180 seconds

Redirections: Website, application, long format video or Lens


The Collection Ads format

Ads collections are particularly effective advertisements for e-commerce.

The principle is simple, the advertisement consists of an advertising video accompanied by several product thumbnails.

Snapchatters can then click on the thumbnails for more product information and potentially make a purchase.

Placement: Between Stories

Format: Videos or images 9:16

Resolution: 1080px x 1920px

Duration: 3 to 180 seconds

Redirections: Website, application, long format video or Lens


The Dynamics Ads Format

Dynamics Ads are formats that allow you to display your products directly to users between stories.

An image of the product, along with its title and price are visible to users.

They can then swipe up for more product information.

Thanks to the import of your catalog, this advertising format can be very useful, especially for retargeting visitors to your site.

In addition, the prices in promotions are displayed directly in the advertisement with a crossed out price.


The commercial ads format

There are two types of trading ads .

THE business ads classics are 3-6 second commercials that cannot be skipped.

The commercial ads Extended Play have a duration of 7 to 180 seconds and cannot be skipped for 6 seconds either.

Placement : Between THE stories

Size: Videos Or pictures 9:16

Resolution : 1080 px x 1920 px

Duration : 7 to 180 seconds

Redirects: Site internet, video long size or Lens


The Lens experience format

Lenses allow a unique experience thanks to augmented reality.

It is a powerful tool to bring brands closer to consumers.

You can create your own in a few minutes thanks to the platform Lens Web Builder .


The Filter Ads format

Ads filters are, as their name suggests, advertising filters specifically designed by brands.

They can be used by users based on their location, when visiting neighborhoods, restaurants or during parties or events.

Resolution: 1080px x 2340px


The First Commercial Placement

First Commercials are advertisements displayed at the thumbnail level of the discover section.

The advantage of this placement is that your ads will appear as soon as the thumbnail is opened and will be given priority over other advertisers.

Your advertisement will therefore be the first to be seen.

Another benefit, the first commercial is an unskippable advertisement for the first 6 seconds.

Placement: Discover tab

Format: Videos or images 9:16

Resolution: 1080px x 1920px

Duration: 3 to 180 seconds

Redirections: Website, application, long format video or Lens

To know more about the format Snapchat First Commercial , read our detailed article.


What campaign objectives on Snapchat Ads?

For your campaigns to be successful, you have to choose the right campaign objectives with the right formats.

Snapchat Ads provides several campaign objectives.


Notoriety objective

You aim to reach users who are not yet interested in your brand. The goal is to raise awareness of your brand, products or services to increase your reach.

For this campaign objective, the Snap Ads and Story Ads formats seem to be the most suitable.


Lead generation objective

The lead generation objective generates qualified leads.


Online sales goal

Snapchat Ads helps increase your online sales. With this objective, you can reach Internet users who are likely to buy your products.

For this campaign objective, the Collections Ads, Dynamics Ads and Story Ads formats are the most appropriate.


Purpose Application facilities

By using the app installs objective, you can increase the number of mobile app installs and reach new customers.


Targeting and audiences on Snapchat Ads

To succeed in your advertising campaigns on Snapchat ads , of course, you have to target the right audience.

Thanks to the advertising targeting of Snapchat , you can reach millions of users based on:

  • Sex
  • Age
  • Location
  • Language
  • Demographics
  • Centers of interests
  • Buying behavior

You can also use Custom Audiences by importing your own customer databases. This will retarget people who have already interacted with your brand or services.

Importing your product catalog on Snapchat Ads is also essential for retargeting visitors who have viewed a product sheet or adding to cart on your site.

This retargeting is done through the conversion API and the Pixel Snapchat, which is particularly effective and ideal for creating audiences.

To obtain powerful results in retargeting, we advise you to use the Dynamics Ads format.

Learn more about Dynamics Ads .


How to choose your budget on Snapchat Ads?

How much does Snapchat Ads cost?

Concretely, you can launch advertisements on Snapchat from only 5€ per day.

However, with a low budget, it is difficult to obtain convincing results.

We therefore advise you not to go below the daily €50 per set of advertisements.

This will get ad sets out of the learning phase faster.

The goal is to reach 50 conversions as quickly as possible and thus be able to adapt your budget to your objectives.



Want to launch your brand on Snapchat Ads ?

The Neads team supports you in your strategy to boost your sales.

Contact us!


Sources: Snapchat , Hubsport , Oberlo , Digimind

Nathan Elmaleh
By Nathan Elmaleh Founder and CEO of Neads. I support brands in their development on TikTok thanks to a complete approach ranging from content creation to influence through advertising. If you want to make TikTok a successful acquisition channel for your brand, Neads is the TikTok agency No. 1 TikTok certified Creative Partner.